Exercise
Could you start at the top of the notes further below and restate each line, ending with the one that has "0.6496"?
Source
____________
Entry from the Materials Project database: LuTa7O19 after structural relaxation (PBE).

Results
- corrected total energy (MP2020 scheme) (eV per atom) = -10.135
- formation energy from the elements (kJ/mol of atoms) = -329.1

CIF file:
```
data_LuTa7O19
_cell_length_a 6.2481
_cell_length_b 6.2481
_cell_length_c 20.0397
_cell_angle_alpha 90.00
_cell_angle_beta 90.00
_cell_angle_gamma 120.00
_space_group_name_H-M_alt 'P -6 c 2'
_space_group_IT_number 188
_space_group_name_Hall 'P -6c 2'
loop_
_atom_site_label
_atom_site_type_symbol
_atom_site_fract_x
_atom_site_fract_y
_atom_site_fract_z
Lu1 Lu 0.0000 0.0000 0.0000
Ta1 Ta 0.0271 0.3329 0.1552
Ta2 Ta 0.3333 0.6667 0.0000
O1 O 0.0000 0.0000 0.1305
O2 O 0.0401 0.2903 0.2500
O3 O 0.0932 0.3734 0.0549
O4 O 0.3333 0.6667 0.1659
O5 O 0.4194 0.0856 0.6531
```

=====

Entry 1:
Below is a relaxed structure of CuTeSBr, with properties calculated at the GGA-PBE level.

Summary:
space group: P2_1/c

Structure (POSCAR):
```
CuTeSBr
1.0
8.0107 0.0000 0.0000
0.0000 4.9130 0.0000
-5.4545 0.0000 11.1676
Cu Te S Br
4 4 4 4
direct
0.1938 0.1291 0.2517
0.1938 0.3709 0.7517
0.8062 0.6291 0.2483
0.8062 0.8709 0.7483
0.2910 0.0041 0.6465
0.2910 0.4959 0.1465
0.7090 0.5041 0.8535
0.7090 0.9959 0.3535
0.4167 0.6902 0.8296
0.4167 0.8098 0.3296
0.5833 0.1902 0.6704
0.5833 0.3098 0.1704
0.0857 0.1481 0.8867
0.0857 0.3519 0.3867
0.9143 0.6481 0.6133
0.9143 0.8519 0.1133
```



Entry 2:
Below is a relaxed structure of CuTe2Br, with properties calculated at the GGA-PBE level.

Summary:
space group: P2_1/c

Structure (POSCAR):
```
CuTe2Br
1.0
8.3970 0.0000 0.0000
0.0000 5.2285 0.0000
-5.4735 0.0000 11.5440
Cu Te Br
4 8 4
direct
0.1790 0.1302 0.2491
0.1790 0.3698 0.7491
0.8210 0.6302 0.2509
0.8210 0.8698 0.7509
0.2787 0.0304 0.6462
0.2787 0.4696 0.1462
0.4121 0.7118 0.8504
0.4121 0.7882 0.3504
0.5879 0.2118 0.6496
0.5879 0.2882 0.1496
0.7213 0.5304 0.8538
0.7213 0.9696 0.3538
0.0845 0.1236 0.8789
0.0845 0.3764 0.3789
0.9155 0.6236 0.6211
0.9155 0.8764 0.1211
```



| no. | E_tot (eV per atom) |
| --- | --- |
| 1 | -3.47 |
| 2 | -3.21 |

=====

Entry from the Materials Project database: a geometry-optimized ThRh2 structure (GGA-PBE).

The structure in CIF format:
```
data_ThRh2
_symmetry_space_group_name_H-M 'P 63/m m c'
_symmetry_Int_Tables_number 194
_symmetry_space_group_name_Hall '-P 6c 2c'
_cell_length_a 4.7527
_cell_length_b 4.7527
_cell_length_c 5.9628
_cell_angle_alpha 90.00
_cell_angle_beta 90.00
_cell_angle_gamma 120.00
loop_
_atom_site_label
_atom_site_fract_x
_atom_site_fract_y
_atom_site_fract_z
Th1 0.3333 0.6667 0.2500
Rh1 0.0000 0.0000 0.0000
Rh2 0.3333 0.6667 0.7500
```

## Properties
DFT formation energy   -0.821 eV per atom
ρ   12.47 g/cm3
____________
Reply
Entry from the Materials Project database: LuTa7O19 after structural relaxation (PBE).

Results
- corrected total energy (MP2020 scheme) (eV per atom) = -10.135
- formation energy from the elements (kJ/mol of atoms) = -329.1

CIF file:
```
data_LuTa7O19
_cell_length_a 6.2481
_cell_length_b 6.2481
_cell_length_c 20.0397
_cell_angle_alpha 90.00
_cell_angle_beta 90.00
_cell_angle_gamma 120.00
_space_group_name_H-M_alt 'P -6 c 2'
_space_group_IT_number 188
_space_group_name_Hall 'P -6c 2'
loop_
_atom_site_label
_atom_site_type_symbol
_atom_site_fract_x
_atom_site_fract_y
_atom_site_fract_z
Lu1 Lu 0.0000 0.0000 0.0000
Ta1 Ta 0.0271 0.3329 0.1552
Ta2 Ta 0.3333 0.6667 0.0000
O1 O 0.0000 0.0000 0.1305
O2 O 0.0401 0.2903 0.2500
O3 O 0.0932 0.3734 0.0549
O4 O 0.3333 0.6667 0.1659
O5 O 0.4194 0.0856 0.6531
```

=====

Entry 1:
Below is a relaxed structure of CuTeSBr, with properties calculated at the GGA-PBE level.

Summary:
space group: P2_1/c

Structure (POSCAR):
```
CuTeSBr
1.0
8.0107 0.0000 0.0000
0.0000 4.9130 0.0000
-5.4545 0.0000 11.1676
Cu Te S Br
4 4 4 4
direct
0.1938 0.1291 0.2517
0.1938 0.3709 0.7517
0.8062 0.6291 0.2483
0.8062 0.8709 0.7483
0.2910 0.0041 0.6465
0.2910 0.4959 0.1465
0.7090 0.5041 0.8535
0.7090 0.9959 0.3535
0.4167 0.6902 0.8296
0.4167 0.8098 0.3296
0.5833 0.1902 0.6704
0.5833 0.3098 0.1704
0.0857 0.1481 0.8867
0.0857 0.3519 0.3867
0.9143 0.6481 0.6133
0.9143 0.8519 0.1133
```



Entry 2:
Below is a relaxed structure of CuTe2Br, with properties calculated at the GGA-PBE level.

Summary:
space group: P2_1/c

Structure (POSCAR):
```
CuTe2Br
1.0
8.3970 0.0000 0.0000
0.0000 5.2285 0.0000
-5.4735 0.0000 11.5440
Cu Te Br
4 8 4
direct
0.1790 0.1302 0.2491
0.1790 0.3698 0.7491
0.8210 0.6302 0.2509
0.8210 0.8698 0.7509
0.2787 0.0304 0.6462
0.2787 0.4696 0.1462
0.4121 0.7118 0.8504
0.4121 0.7882 0.3504
0.5879 0.2118 0.6496